Material =
-- begin --
Compound: AlTlN3
Source: Alexandria
Functional: GGA-PBE
Structure: relaxed

a b c (Å): 3.8839 3.8839 3.8839
angles (deg): 90.00 90.00 90.00
Space group Pm-3m (No. 221)
Symmetry-distinct sites (fractional):
Al (0.0000, 0.0000, 0.0000) (multiplicity 1)
Tl (0.5000, 0.5000, 0.5000) (multiplicity 1)
N (0.0000, 0.0000, 0.5000) (multiplicity 3)

Calculated values
- Electronic total energy: -5.158 eV per atom

***

Compound: Li2Ac3GeO8
Source: Alexandria
Functional: GGA-PBE
Structure: relaxed

a b c (Å): 5.5778 5.5778 7.0496
angles (deg): 90.00 90.00 120.00
Space group P-3m1 (No. 164)
Symmetry-distinct sites (fractional):
Li (0.3333, 0.6667, 0.2100) (multiplicity 2)
Ac (0.0000, 0.0000, 0.0000) (multiplicity 1)
Ac (0.3333, 0.6667, 0.6387) (multiplicity 2)
Ge (0.0000, 0.0000, 0.5000) (multiplicity 1)
O (0.1582, 0.3164, 0.3354) (multiplicity 6)
O (0.3333, 0.6667, 0.9541) (multiplicity 2)

Calculated values
- Electronic total energy: -6.794 eV per atom

***

Compound: La2GaSnO
Source: Alexandria
Functional: GGA-PBE
Structure: relaxed

a b c (Å): 5.1496 5.1496 4.8629
angles (deg): 90.00 90.00 90.00
Space group P4/mmm (No. 123)
Symmetry-distinct sites (fractional):
La (0.0000, 0.5000, 0.0000) (multiplicity 2)
Ga (0.0000, 0.0000, 0.5000) (multiplicity 1)
Sn (0.5000, 0.5000, 0.5000) (multiplicity 1)
O (0.5000, 0.5000, 0.0000) (multiplicity 1)

Calculated values
- Electronic total energy: -5.574 eV per atom

***

Compound: Cs2LiBi2
Source: Alexandria
Functional: GGA-PBE
Structure: relaxed

a b c (Å): 12.6681 7.5238 9.9654
angles (deg): 90.00 98.27 90.00
Space group C2/c (No. 15)
Symmetry-distinct sites (fractional):
Cs (0.1615, 0.1034, 0.1679) (multiplicity 8)
Li (0.0000, 0.4620, 0.7500) (multiplicity 4)
Bi (0.0985, 0.3833, 0.5105) (multiplicity 8)

Calculated values
- Distance to the lowest polymorph of the same formula: 0 meV per atom

***

Compound: Li2ScPtO4
Source: Alexandria
Functional: GGA-PBE
Structure: relaxed

a b c (Å): 5.4051 3.0997 5.4620
angles (deg): 90.00 112.58 90.00
Space group P2/m (No. 10)
Symmetry-distinct sites (fractional):
Li (0.0000, 0.0000, 0.0000) (multiplicity 1)
Li (0.5000, 0.5000, 0.0000) (multiplicity 1)
Sc (0.0000, 0.5000, 0.5000) (multiplicity 1)
Pt (0.5000, 0.0000, 0.5000) (multiplicity 1)
O (0.2154, 0.0000, 0.7573) (multiplicity 2)
O (0.2645, 0.5000, 0.2775) (multiplicity 2)

Calculated values
- Electronic total energy: -6.387 eV per atom

***

Compound: TbDy2ErS6
Source: Alexandria
Functional: GGA-PBE
Structure: relaxed

a b c (Å): 6.9037 6.9037 18.4942
angles (deg): 90.00 90.00 120.00
Space group R3 (No. 146, hexagonal axes)
Symmetry-distinct sites (fractional):
Tb (0.0000, 0.0000, 0.0000) (multiplicity 3)
Dy (0.0000, 0.0000, 0.2978) (multiplicity 3)
Dy (0.0000, 0.0000, 0.7987) (multiplicity 3)
Er (0.0000, 0.0000, 0.4986) (multiplicity 3)
S (0.0013, 0.2996, 0.3993) (multiplicity 9)
S (0.0326, 0.6701, 0.5654) (multiplicity 9)

Calculated values
- Electronic total energy: -6.378 eV per atom

***

Compound: KLiTeS3
Source: Alexandria
Functional: GGA-PBE
Structure: relaxed

a b c (Å): 3.9666 14.1937 10.3081
angles (deg): 90.00 90.00 90.00
Space group Cmcm (No. 63)
Symmetry-distinct sites (fractional):
K (0.0000, 0.2365, 0.2500) (multiplicity 4)
Li (0.0000, 0.0384, 0.7500) (multiplicity 4)
Te (0.0000, 0.5000, 0.0000) (multiplicity 4)
S (0.0000, 0.1246, 0.5485) (multiplicity 8)
S (0.0000, 0.4419, 0.7500) (multiplicity 4)

Calculated values
- Electronic total energy: -3.750 eV per atom

***

Compound: LaY6Er2Tm
Source: Alexandria
Functional: GGA-PBE
Structure: relaxed

a b c (Å): 9.2810 15.0238 9.4061
angles (deg): 90.00 94.99 90.00
Space group C2/c (No. 15)
Symmetry-distinct sites (fractional):
La (0.0000, 0.0343, 0.2500) (multiplicity 4)
Y (0.0595, 0.1802, 0.9423) (multiplicity 8)
Y (0.0950, 0.3858, 0.1102) (multiplicity 8)
Y (0.2205, 0.2254, 0.3177) (multiplicity 8)
Er (0.2452, 0.4481, 0.4452) (multiplicity 8)
Tm (0.0000, 0.4135, 0.7500) (multiplicity 4)

Calculated values
-- stop --

Activity =
Next, count the lines earlier on that contain the word "P-3m1" and give the number alone.

Result =
1